The reader should reproduce the calculation results underneath from the line with "&SYSTEM" to the end word for word.

# TaZnGe3

A relaxed structure of TaZnGe3 (PBE-GGA, Alexandria). Values from VASP.

```
&SYSTEM
  ibrav = 0, nat = 5, ntyp = 3
/
ATOMIC_SPECIES
Ta 180.95 Ta.upf
Zn 65.41 Zn.upf
Ge 72.64 Ge.upf
CELL_PARAMETERS angstrom
5.044 0.000 0.000
0.000 5.044 0.000
0.000 0.000 5.044
ATOMIC_POSITIONS crystal
Ta 0.000 0.000 0.000
Zn 0.500 0.500 0.500
Ge 0.000 0.000 0.500
Ge 0.000 0.500 0.000
Ge 0.500 0.000 0.000
```

Values from the calculation:
Relative energy among the computed polymorphs = 0.000 eV/f.u.
Symmetry = No. 221
Formation enthalpy at 0 K = 2.5 eV per formula unit

&SYSTEM
  ibrav = 0, nat = 5, ntyp = 3
/
ATOMIC_SPECIES
Ta 180.95 Ta.upf
Zn 65.41 Zn.upf
Ge 72.64 Ge.upf
CELL_PARAMETERS angstrom
5.044 0.000 0.000
0.000 5.044 0.000
0.000 0.000 5.044
ATOMIC_POSITIONS crystal
Ta 0.000 0.000 0.000
Zn 0.500 0.500 0.500
Ge 0.000 0.000 0.500
Ge 0.000 0.500 0.000
Ge 0.500 0.000 0.000
```

Values from the calculation:
Relative energy among the computed polymorphs = 0.000 eV/f.u.
Symmetry = No. 221
Formation enthalpy at 0 K = 2.5 eV per formula unit